Does flushing cause black ash?

Read some old threads here and on other forms basically saying flushing causes ash to burn black. I bring this up because I did a two week flush this last crop, and after my regular 14-16 dry @ 60/60, and then cured in turkey bags in a 5 gallon food grade bucket for two weeks, buds are finishing with a black ash. No harsh, or nasty taste just black ash. I was wondering if anyone else has ever encountered this? I usually just taper off my Ec towards the end, but figured I’d try something different this time. What does OG say?


I just top two of the same plants treated in the same manner One Burns with a perfectly white ash one burns with a black ash go figure


Some of the buds in question.

The ash in question.

My opinion is that if it tastes good, isn’t harsh, and does the job, does it matter whether it burns to white ash or black ash?

Is it possible black ash is indicative of a little extra moisture left in that particular bud causing it not to fully combust to white ash? Just spit-balling, because I really have no idea.


I’ve always read that gray ash is indicative of a properly flushed plant, that the black is residual salts. But I have a plant I grew in a hempie, full feed to the last day that has gray ash. So I don’t know what to think.


imo it’s more than just one factor that goes into the ash color. In soil grown, salt fed, you usually want a 3 week flush. As for the ash color… nutrient deficiencies/toxicities, and a correct dry environment also play a factor in the final ash color/smoke.

The one thing I can say for sure is… white ash bud always is a nicer smoking experience.:pray:

........
Entry 1:
60
Properties=species:S:1:pos:R:3:forces:R:3 method="wB97M-V/def2-TZVPD" homo_ev=-4.55 lumo_energy_ev=0.439
Cl 11.4536 8.6951 -16.5527 -13.58 12.32 -3.30
C 10.6749 10.2898 -16.1817 -0.80 0.16 -1.49
C 11.7391 11.4098 -16.2336 -1.11 -0.36 0.53
Cl 12.8024 11.2650 -14.7521 -1.85 6.13 0.50
H 10.2037 10.1283 -15.2122 0.19 0.47 -0.16
H 9.9069 10.3137 -16.9548 -0.06 1.05 0.08
H 11.2043 12.3596 -16.2298 0.11 0.08 0.69
H 12.3630 11.5083 -17.1220 0.14 -0.84 0.10
Cl 11.9556 6.8266 -13.5689 15.56 -8.61 3.54
C 13.1620 6.6139 -14.8091 4.67 0.18 -2.15
C 13.2050 7.7088 -15.9177 4.76 -5.27 2.61
Cl 13.6438 9.2258 -15.3529 2.20 -2.48 -0.35
H 13.0796 5.6277 -15.2660 0.99 0.35 1.11
H 14.1025 6.7350 -14.2715 -0.47 -0.16 -0.44
H 12.2335 7.8275 -16.3976 7.84 -8.50 1.72
H 13.9158 7.4848 -16.7131 -1.40 -0.38 0.73
N 13.5754 7.7778 -12.0912 0.61 -1.21 1.66
C 14.4183 8.2709 -11.1340 0.58 -1.07 -2.00
C 15.5976 7.6043 -10.7706 -0.96 -1.73 0.20
C 15.7738 6.2165 -11.1606 -2.00 2.16 -0.30
C 14.7743 5.6725 -12.0029 0.70 0.94 1.38
C 13.7003 6.4867 -12.4634 6.67 -0.66 5.94
H 14.1127 9.2512 -10.7991 0.38 0.14 0.24
H 16.2388 8.0029 -9.9983 0.13 0.22 -0.12
H 16.5643 5.6566 -10.6832 0.11 -0.21 -0.33
H 14.7957 4.6122 -12.2072 -0.06 -0.06 -0.31
H 12.9329 5.9947 -13.0426 3.91 -3.01 2.70
N 15.5603 5.1287 -15.5176 0.66 0.44 -0.53
C 15.7409 6.3710 -14.9299 0.91 -1.28 -1.44
C 15.6846 7.5349 -15.6767 3.38 -1.63 1.34
C 15.5538 7.3232 -17.0126 1.81 2.40 -1.35
C 15.5700 6.1322 -17.6689 0.31 1.14 -0.19
C 15.4905 5.0351 -16.8629 0.98 -0.32 2.23
H 15.9470 6.3364 -13.8703 0.02 0.11 -0.07
H 15.8709 8.5419 -15.3337 0.09 -0.55 0.35
H 15.4893 8.2904 -17.4889 0.02 -0.05 -1.10
H 15.3176 6.1376 -18.7190 1.88 -0.11 0.52
H 15.3547 4.0871 -17.3623 0.33 -0.31 0.87
N 9.3330 7.6280 -13.0547 -0.38 0.56 0.19
C 10.5779 7.8659 -13.6364 -14.53 10.43 3.99
C 11.2876 9.0288 -13.3438 -3.07 2.05 0.26
C 10.4584 10.0193 -12.8322 0.73 0.97 0.48
C 9.1087 9.8910 -12.4718 0.03 -0.48 0.23
C 8.5869 8.6088 -12.4734 2.07 -0.85 -1.22
H 11.0784 7.0204 -14.0847 -15.18 1.00 -12.84
H 12.2774 9.2528 -13.7132 -0.45 -0.38 0.84
H 10.9528 10.9677 -12.6824 -0.26 0.44 -0.07
H 8.4682 10.7036 -12.1623 0.36 0.33 0.13
H 7.5997 8.3410 -12.1269 -0.06 0.00 0.15
N 12.6161 6.1979 -17.6195 1.33 -1.15 -3.00
C 12.0263 5.5079 -16.6669 -0.75 0.42 -1.89
C 12.0714 4.1558 -16.6247 -0.48 -2.15 0.44
C 12.8213 3.4341 -17.5472 -0.22 0.51 -0.66
C 13.5303 4.1392 -18.5159 -0.81 -0.49 0.96
C 13.4581 5.5219 -18.4641 -3.15 -0.51 -0.73
H 11.5529 6.1176 -15.9116 -1.29 -0.64 -0.69
H 11.4596 3.6893 -15.8668 0.14 -0.42 0.09
H 12.8615 2.3576 -17.6245 -0.24 -0.12 0.51
H 14.1810 3.5625 -19.1564 0.04 0.37 -0.42
H 14.0037 6.0110 -19.2575 -1.47 0.60 -0.15

Entry 2:
11
Properties=species:S:1:pos:R:3:forces:R:3 method="wB97M-V/def2-TZVPD" homo_ev=-11.18 lumo_energy_ev=0.716
O 2.8981 -1.6847 -0.3891 0.34 -0.39 -1.13
C 2.5976 -0.5688 -0.5002 0.14 -0.25 1.89
N 2.2847 0.5894 -0.3115 -0.93 0.17 -0.45
Si 0.6706 0.7245 0.4170 0.76 0.99 -1.25
O -0.4377 0.3980 -0.7893 -0.29 -0.33 1.66
........
### Back to the entry


I can’t see flushing causing that. @DannyTerpintine seems to have provided a good answer so I will leave it at that.


I thought flushing had been pretty thoroughly debunked as a myth via actual scientific research experiments. And that the participants actually rated the buds that were fed till the end as better and better tasting than those that were flushed (I remember there being several flush durations tested, something like 0,3,7,14,and 21 day) and the longer the flush, the worse it was rated by the testers…
The article was posted here on OG somewhere….

And no statistically significant difference in ash color, cannabinoid content, or terp content.

It also makes sense to me that you would not want to starve a plant during the most important (to us) stage of its life cycle…


Yes you’re right. There was a study that concluded that.

However, just my personal experience I can usually smoke bud and tell you if it was grown hydro, soil, sunshine mix or organics. And I’m pretty dead accurate. I also personally can taste the difference and taste the additives that were used if they were not cut out soon enough (depending on what additives they were).

== Inserted here: records of molecules ==
<<<
The following is a quantum chemistry calculation of a structure of composition C15H19ClF5InO16P in a non-equilibrium geometry, from OMol25.

The geometry in XYZ format:
```
58
Properties=species:S:1:pos:R:3:forces:R:3
O 3.055 0.033 -2.095 -0.2 -0.6 -0.9
P 2.318 1.163 -3.216 0.1 -1.2 -0.6
Cl 2.856 3.171 -2.770 0.2 -0.3 0.6
In -0.210 0.863 -2.766 -0.9 0.1 0.0
H 3.195 -0.801 -2.642 -0.1 1.8 0.8
H -0.587 -0.811 -3.354 -0.1 1.5 -0.1
H -0.615 1.031 -1.022 0.2 -0.1 -0.3
H -1.017 2.156 -3.751 0.3 -0.3 0.2
C 0.793 5.294 -0.322 0.8 0.4 -0.9
C 0.815 4.927 1.123 0.4 0.1 0.4
O -0.509 4.518 1.379 0.0 -0.5 -0.5
C -0.964 4.024 0.192 -2.3 -1.7 -1.2
O -1.960 3.330 0.076 2.0 1.9 0.5
O -0.162 4.396 -0.852 -0.9 -0.5 1.0
F 1.083 6.007 1.890 0.2 0.3 0.5
H 0.458 6.322 -0.493 0.0 0.0 0.3
H 1.767 5.158 -0.800 -0.3 -0.2 -0.1
H 1.506 4.114 1.369 -0.1 0.2 0.1
C 0.865 2.374 4.529 -1.3 -0.2 -0.5
C 1.568 2.702 5.802 0.0 -0.3 0.6
O 2.932 2.605 5.460 -0.3 0.5 -0.6
C 2.988 2.922 4.136 2.7 0.7 -2.0
O 4.015 3.215 3.546 -2.6 -0.7 1.5
O 1.753 2.878 3.551 1.0 0.2 0.4
F 1.301 1.777 6.752 -0.1 0.0 0.4
H 0.737 1.297 4.382 0.1 0.1 0.2
H -0.113 2.857 4.458 0.2 0.0 -0.2
H 1.355 3.704 6.187 0.0 -0.2 0.1
C 1.799 -4.055 -0.073 -0.4 -0.4 1.2
C 2.980 -3.634 -0.880 0.5 -0.1 -0.2
O 2.430 -3.360 -2.149 -0.1 0.3 0.5
C 1.150 -2.963 -1.903 -2.7 1.7 -2.2
O 0.446 -2.384 -2.713 2.3 -2.6 2.2
O 0.755 -3.285 -0.634 0.3 0.3 -0.8
F 3.862 -4.650 -1.009 0.5 -0.2 0.0
H 1.567 -5.119 -0.185 0.3 0.4 0.1
H 1.922 -3.833 0.991 -0.1 0.2 -0.2
H 3.489 -2.743 -0.499 0.1 -0.1 -0.1
C -5.250 3.608 0.327 1.0 0.5 -1.0
C -5.228 3.242 1.772 0.4 0.3 0.4
O -6.552 2.832 2.028 -0.1 -0.5 -0.7
C -7.006 2.339 0.841 -2.4 -1.6 -0.9
O -8.002 1.645 0.725 2.2 1.6 0.3
O -6.205 2.711 -0.203 -0.9 -0.6 0.9
F -4.960 4.322 2.539 0.1 0.2 0.4
H -5.584 4.637 0.156 0.0 -0.1 0.3
H -4.276 3.472 -0.151 -0.2 -0.1 0.0
H -4.537 2.428 2.018 0.0 0.2 0.1
C 1.308 -7.159 -3.853 0.8 0.6 -0.9
C 1.330 -7.526 -2.409 0.1 0.3 0.5
O 0.006 -7.935 -2.152 0.2 -0.5 -0.7
C -0.449 -8.428 -3.339 -2.8 -1.7 -0.7
O -1.445 -9.123 -3.455 2.4 1.7 0.3
O 0.353 -8.056 -4.383 -0.7 -0.5 0.8
F 1.598 -6.446 -1.641 0.1 -0.2 0.1
H 0.973 -6.130 -4.024 0.1 -0.1 0.3
H 2.282 -7.295 -4.332 -0.2 -0.1 0.0
H 2.021 -8.339 -2.162 0.0 0.2 0.2
```
Positions in Å, forces in eV/Å.

Properties
- lowest unoccupied orbital energy (eV) = 1.962
- strongest force on any atom (eV/Å) = 4.1
- HOMO-LUMO gap (hartree) = 0.21109
- DFT total energy (hartree) = -3277.86729
- charge = -1

So, what does the Mulliken scheme give us? The charges, in e, come out as:
1 O -0.556
2 P 0.105
3 Cl -0.348
4 In 0.451
5 H 0.311
6 H -0.233
7 H -0.322
8 H -0.330
9 C -0.388
10 C 0.487
11 O -0.320
12 C 0.513
13 O -0.500
14 O -0.216
15 F -0.343
16 H 0.249
17 H 0.180
18 H 0.287
19 C -0.448
20 C 0.315
21 O -0.310
22 C 0.586
23 O -0.532
24 O -0.189
25 F -0.290
26 H 0.272
27 H 0.295
28 H 0.290
29 C -0.280
30 C 0.360
31 O -0.306
32 C 0.655
33 O -0.513
>>>

So I really have to question the sample audience of that study, and their experience as just smokers, or growers as well. Because us growers have a much more complex pallet to noticing the nuances that the general smoker does not.


I don’t flush and my ash is white.


First thing comes to mind would be moisture level inside the bud. Usually dry smoke burns light gray to almost white ash. Any moisture it gets darker.


I use organic soil additives and water only and I get white ash with some and black ash with others I tend to agree with those that thinking maybe a little moisture content my two cents


No flushing


I haven’t flushed in twenty years. I say your issue is either too much nitrogen in late flower or cure / moisture content. I can’t speak to hydro but a side by side I did years ago showed absolutely no benefit from a flush in organic soil or soiless mix.


Super tasters absolutely are a real thing. And any study can have flawed methodology.

This is some thing I feel like I have heard and read several times, in different places.

It also seems ,anecdotally, like every grow book I have has a section with a “cutting edge “study on this, regardless of the vintage… :wink:

Confirmation bias and placebo affect can have powerful effect whichever side you fall on.


I’m in coco, and used Dynagro protekt, bloom, and they’re Magpro in flower this last run. I usually taper off Ec, but was listening to the GML show on YouTube, and he and a few others were talking about how they really recommend a 2-3 week flush, so I figured I’d give it a go. I never really had an issue with black ash, until now, so I did some google research, and came across a few posts of people saying they never had black ash until they started flushing.


Yep. I read that report also.

The page is interrupted by data records:
- - -
1.
Here is an isolated ion of composition C6H11O2S and charge -1 in a non-equilibrium geometry from the OMol25 dataset. Energies are from wB97M-V/def2-TZVPD.

Calculated values
spin multiplicity	1
net charge	-1

Last column: Mulliken charge in e.
Positions of all 20 atoms, in Å:
C 0.60911 1.82790 -1.18001  -0.912
C 0.25125 1.18751 -0.04457  0.656
C 0.60516 1.61051 1.35423  -1.307
C -1.03785 -0.85497 1.03941  -1.517
C -0.97868 -0.74137 -1.50961  -1.905
C -0.24411 -0.44929 -0.23222  0.927
O 1.85458 -1.51769 1.04384  -0.650
O 0.92589 -2.85342 -0.64484  -0.636
S 1.41520 -1.51547 -0.37211  0.507
H 0.48400 1.26020 -2.20133  0.118
H 0.94836 2.87281 -1.18800  0.336
H 0.94860 0.67555 1.98929  0.230
H -0.35724 1.85785 1.79517  0.338
H 1.37849 2.38758 1.46600  0.356
H -2.04033 -0.50724 0.94351  0.386
H -0.51130 -0.46166 1.91767  0.340
H -1.00542 -1.94941 1.18587  0.351
H -0.44826 -0.55607 -2.38564  0.556
H -1.89976 -0.38585 -1.44400  0.460
H -0.89769 -1.88744 -1.53268  0.368

2.
Here is one molecule with the formula C5H7N3S in a non-equilibrium geometry from the OMol25 dataset. Energies are from wB97M-V/def2-TZVPD.

Calculated values
spin multiplicity	1
structure (SMILES)	Cc1c[nH]nc(N)c1=S
net charge	0

Last column: Mulliken charge in e.
Positions of all 16 atoms, in Å:
C -2.23581 0.79654 0.47065  -1.561
C -0.76460 0.48074 0.06154  0.469
C -0.07322 1.30180 -0.80661  -0.315
N 1.18169 1.02940 -1.14192  0.360
N 1.86697 -0.01624 -0.76440  -0.945
C 1.24868 -0.89387 -0.03516  0.357
N 1.86488 -1.99430 0.43688  -0.381
C -0.12280 -0.72164 0.49111  0.332
S -0.86202 -1.87097 1.41516  -0.456
H -2.57858 0.28471 1.39961  0.366
H -2.76757 0.55730 -0.35490  0.384
H -2.34624 1.80938 0.58251  0.438
H -0.38302 2.39315 -1.07894  0.265
H 1.70414 1.69968 -1.69594  0.243
H 1.35166 -2.79404 0.78241  0.184
H 2.91585 -2.06163 0.23799  0.261

| no. | E_tot (eV) | gap between HOMO and LUMO (eV) |
| --- | --- | --- |
| 1 | -21329.7023 | 6.8981 |
| 2 | -20602.9776 | 7.8553 |

~~~~~

## P
{
  "formula": "H3NS2",
  "method": "the ωB97M-V functional and the def2-TZVPD basis",
  "charge": 0,
  "homo_lumo_gap_ev": 9.68,
  "smiles": "NSS",
  "symbols": ["N", "S", "S", "H", "H", "H"],
  "coordinates": [[1.0195, 0.1236, 0.3825], [-1.9361, -0.4383, 0.0293], [-0.4665, 0.9470, -0.1336], [1.5440, 0.1414, -0.4545], [1.3264, 0.5663, 1.2301], [-1.4872, -1.3400, -1.0538]],
  "mulliken_charge": [-0.52, -0.18, -0.01, 0.27, 0.27, 0.17]
}

## Q
{
  "formula": "H3NS2",
  "method": "the ωB97M-V functional and the def2-TZVPD basis",
  "charge": 0,
  "homo_lumo_gap_ev": 8.31,
  "symbols": ["N", "S", "S", "H", "H", "H"],
  "coordinates": [[-0.5224, 0.1533, -1.5456], [0.7102, 0.8385, 1.5485], [0.2144, -0.4996, -0.3814], [-0.0550, 0.8220, -2.1402], [0.7088, -0.3586, 2.1647], [-1.0560, -0.9556, 0.3539]],
  "mulliken_charge": [-0.45, -0.29, 0.14, 0.24, 0.13, 0.23]
}

How far above the most stable structure does each one sit? In kJ/mol: P 0.0; Q 207.4.

## P
{
  "formula": "C30H20Cl3CoIN2O4PS",
- - -

This was my first thought. I have smoked bud that hasn’t been dried fully, and they burn black as night if at all lol! These buds are pretty dry though. Maybe a little too dry.


GML is a solid show! Lots of gems to find there! :100:

If you’re going to flush I’d say 3 > 2 weeks all day. Straight ph’d ro water.

As far as ash color… I’ve gotten white/grey-white ash on seeded stuff I’ve fed all the way through. And I’ve got white-white ash on stuff from a 3 week flush as well.
…now here’s an interested point that just hit me… I do notice not flushing has a more potent flavour profile, but flushing tastes a lot cleaner (imo).